(Given)
'''
{
  "formula": "C14H39ClN11O6",
  "method": "ωB97M-V with the def2-TZVPD basis set",
  "symbols": ["Cl", "C", "O", "N", "N", "H", "H", "H", "H", "C", "O", "N", "N", "H", "H", "H", "H", "C", "O", "N", "N", "H", "H", "H", "H", "C", "O", "N", "N", "H", "H", "H", "H", "C", "O", "N", "N", "H", "H", "H", "H", "C", "C", "C", "C", "C", "C", "N", "O", "C", "C", "C", "H", "H", "H", "H", "H", "H", "H", "H", "H", "H", "H", "H", "H", "H", "H", "H", "H", "H", "H"],
  "positions_angstrom": [[1.236, -1.304, -0.873], [1.618, -0.715, 3.538], [1.795, -1.106, 4.683], [2.034, 0.531, 3.110], [0.993, -1.455, 2.583], [2.329, 1.116, 3.866], [1.979, 0.751, 2.135], [0.771, -1.116, 1.660], [0.460, -2.233, 2.934], [5.005, -0.550, 0.692], [5.450, -0.414, 1.817], [5.204, -1.684, -0.062], [4.192, 0.392, 0.101], [5.082, -1.675, -1.058], [5.965, -2.212, 0.334], [4.002, 1.170, 0.706], [3.527, 0.133, -0.613], [0.497, -1.682, -5.051], [-0.116, -1.900, -6.090], [-0.122, -1.337, -3.894], [1.862, -1.811, -4.971], [0.359, -1.283, -3.003], [-1.123, -1.291, -3.933], [2.290, -1.302, -4.218], [2.286, -2.112, -5.826], [2.420, -4.505, 2.064], [1.295, -4.952, 1.914], [3.191, -4.807, 3.177], [3.045, -3.711, 1.157], [3.784, -4.075, 3.533], [2.810, -5.421, 3.872], [3.839, -3.133, 1.361], [2.468, -3.408, 0.387], [-2.004, -3.687, 0.076], [-3.007, -4.341, 0.316], [-1.686, -2.516, 0.717], [-1.063, -4.017, -0.858], [-0.977, -1.956, 0.273], [-2.395, -2.101, 1.292], [-1.145, -4.918, -1.285], [-0.257, -3.417, -0.940], [-3.669, 1.962, -1.629], [-2.242, 2.507, -1.449], [-2.184, 4.008, -1.584], [-2.771, 4.789, -0.435], [-2.128, 4.331, 0.873], [-2.036, 2.813, 1.080], [-1.701, 2.122, -0.135], [-1.698, 0.727, 0.055], [-0.972, 2.565, 2.179], [-3.402, 2.318, 1.654], [-1.368, 1.874, -2.539], [-4.139, 2.357, -2.539], [-4.390, 2.311, -0.887], [-3.648, 0.876, -1.610], [-1.140, 4.342, -1.736], [-2.490, 4.336, -2.589], [-3.847, 4.567, -0.385], [-2.699, 5.869, -0.560], [-2.717, 4.767, 1.685], [-1.120, 4.748, 0.946], [-0.749, 1.496, 2.131], [-0.055, 3.080, 1.893], [-1.368, 2.843, 3.147], [-3.513, 1.247, 1.503], [-3.489, 2.528, 2.722], [-4.209, 2.871, 1.173], [-1.147, 0.845, -2.281], [-0.420, 2.421, -2.611], [-1.792, 2.049, -3.529], [-0.788, 0.487, -0.170]],
  "total_energy_ev": -56357.4968,
  "lumo_energy_ev": 2.4301,
  "charge": -1,
  "orbital_gap_ha": 0.3181
}

~~~~~

Density functional theory data (wB97M-V/def2-TZVPD) for a single C3H3N3O molecule in a non-equilibrium geometry.

```
10
Properties=species:S:1:pos:R:3:forces:R:3
O 2.178042 -1.069434 -0.221132 -0.4 0.5 0.0
C 1.136644 -0.513679 -0.044161 0.5 -1.1 -0.1
N -0.025768 -1.214345 0.424366 -0.1 -0.5 -0.1
C -1.228146 -0.769739 -0.027532 0.1 0.3 -0.2
C -1.180270 0.601667 -0.025358 -0.1 -0.3 -0.1
N -0.098272 0.837402 0.831794 -0.2 0.9 0.0
N 0.945398 0.910831 -0.104337 0.1 0.3 0.2
H -1.985640 -1.470649 -0.361193 0.0 0.1 0.2
H -1.527102 1.343125 -0.746102 0.2 -0.2 0.2
H 1.785114 1.344823 0.273652 0.0 0.1 0.0
```
Forces are in eV/Å.

Properties
relative energy (zero: lowest compared OMol25 entry of this formula, charge and spin): 531.56 kJ/mol
E_tot: -355.43743 Eh

These are the Löwdin partial charges, in e, on atoms 1 to 5: number 1, O, carries 0.14; number 2, C, carries -0.53; number 3, N, carries 0.15; number 4, C, carries -0.13; number 5, C, carries -0.10

~~~~~

*w*
A cluster of 2 separate species, C2H8NO2 in total. Source: the OMol25 dataset; level of theory: ωB97M-V/def2-TZVPD.

Positions of all 13 atoms, in Å:
C 0.819 -0.174 -1.101
N -0.107 0.379 -0.115
C -1.419 -0.440 -0.149
O -1.845 -0.742 -1.348
H 0.444 -0.096 -2.125
H 1.787 0.312 -1.029
H 0.913 -1.237 -0.908
H -0.391 1.301 -0.454
H -1.169 -1.300 0.532
H -2.118 0.201 0.437
H 0.635 0.733 1.371
H 1.430 0.122 2.595
O 1.021 0.942 2.294

Computed properties:
Frontier orbital gap in eV: 7.1
Net charge: -1
M in g/mol: 78.1

***

*x*
A cluster of 2 separate species, C2H8NO2 in total. Source: the OMol25 dataset; level of theory: ωB97M-V/def2-TZVPD.

Positions of all 13 atoms, in Å:
'''
(Assignment)
Please return everything above with every line break kept.
(Response)
{
  "formula": "C14H39ClN11O6",
  "method": "ωB97M-V with the def2-TZVPD basis set",
  "symbols": ["Cl", "C", "O", "N", "N", "H", "H", "H", "H", "C", "O", "N", "N", "H", "H", "H", "H", "C", "O", "N", "N", "H", "H", "H", "H", "C", "O", "N", "N", "H", "H", "H", "H", "C", "O", "N", "N", "H", "H", "H", "H", "C", "C", "C", "C", "C", "C", "N", "O", "C", "C", "C", "H", "H", "H", "H", "H", "H", "H", "H", "H", "H", "H", "H", "H", "H", "H", "H", "H", "H", "H"],
  "positions_angstrom": [[1.236, -1.304, -0.873], [1.618, -0.715, 3.538], [1.795, -1.106, 4.683], [2.034, 0.531, 3.110], [0.993, -1.455, 2.583], [2.329, 1.116, 3.866], [1.979, 0.751, 2.135], [0.771, -1.116, 1.660], [0.460, -2.233, 2.934], [5.005, -0.550, 0.692], [5.450, -0.414, 1.817], [5.204, -1.684, -0.062], [4.192, 0.392, 0.101], [5.082, -1.675, -1.058], [5.965, -2.212, 0.334], [4.002, 1.170, 0.706], [3.527, 0.133, -0.613], [0.497, -1.682, -5.051], [-0.116, -1.900, -6.090], [-0.122, -1.337, -3.894], [1.862, -1.811, -4.971], [0.359, -1.283, -3.003], [-1.123, -1.291, -3.933], [2.290, -1.302, -4.218], [2.286, -2.112, -5.826], [2.420, -4.505, 2.064], [1.295, -4.952, 1.914], [3.191, -4.807, 3.177], [3.045, -3.711, 1.157], [3.784, -4.075, 3.533], [2.810, -5.421, 3.872], [3.839, -3.133, 1.361], [2.468, -3.408, 0.387], [-2.004, -3.687, 0.076], [-3.007, -4.341, 0.316], [-1.686, -2.516, 0.717], [-1.063, -4.017, -0.858], [-0.977, -1.956, 0.273], [-2.395, -2.101, 1.292], [-1.145, -4.918, -1.285], [-0.257, -3.417, -0.940], [-3.669, 1.962, -1.629], [-2.242, 2.507, -1.449], [-2.184, 4.008, -1.584], [-2.771, 4.789, -0.435], [-2.128, 4.331, 0.873], [-2.036, 2.813, 1.080], [-1.701, 2.122, -0.135], [-1.698, 0.727, 0.055], [-0.972, 2.565, 2.179], [-3.402, 2.318, 1.654], [-1.368, 1.874, -2.539], [-4.139, 2.357, -2.539], [-4.390, 2.311, -0.887], [-3.648, 0.876, -1.610], [-1.140, 4.342, -1.736], [-2.490, 4.336, -2.589], [-3.847, 4.567, -0.385], [-2.699, 5.869, -0.560], [-2.717, 4.767, 1.685], [-1.120, 4.748, 0.946], [-0.749, 1.496, 2.131], [-0.055, 3.080, 1.893], [-1.368, 2.843, 3.147], [-3.513, 1.247, 1.503], [-3.489, 2.528, 2.722], [-4.209, 2.871, 1.173], [-1.147, 0.845, -2.281], [-0.420, 2.421, -2.611], [-1.792, 2.049, -3.529], [-0.788, 0.487, -0.170]],
  "total_energy_ev": -56357.4968,
  "lumo_energy_ev": 2.4301,
  "charge": -1,
  "orbital_gap_ha": 0.3181
}

~~~~~

Density functional theory data (wB97M-V/def2-TZVPD) for a single C3H3N3O molecule in a non-equilibrium geometry.

```
10
Properties=species:S:1:pos:R:3:forces:R:3
O 2.178042 -1.069434 -0.221132 -0.4 0.5 0.0
C 1.136644 -0.513679 -0.044161 0.5 -1.1 -0.1
N -0.025768 -1.214345 0.424366 -0.1 -0.5 -0.1
C -1.228146 -0.769739 -0.027532 0.1 0.3 -0.2
C -1.180270 0.601667 -0.025358 -0.1 -0.3 -0.1
N -0.098272 0.837402 0.831794 -0.2 0.9 0.0
N 0.945398 0.910831 -0.104337 0.1 0.3 0.2
H -1.985640 -1.470649 -0.361193 0.0 0.1 0.2
H -1.527102 1.343125 -0.746102 0.2 -0.2 0.2
H 1.785114 1.344823 0.273652 0.0 0.1 0.0
```
Forces are in eV/Å.

Properties
relative energy (zero: lowest compared OMol25 entry of this formula, charge and spin): 531.56 kJ/mol
E_tot: -355.43743 Eh

These are the Löwdin partial charges, in e, on atoms 1 to 5: number 1, O, carries 0.14; number 2, C, carries -0.53; number 3, N, carries 0.15; number 4, C, carries -0.13; number 5, C, carries -0.10

~~~~~

*w*
A cluster of 2 separate species, C2H8NO2 in total. Source: the OMol25 dataset; level of theory: ωB97M-V/def2-TZVPD.

Positions of all 13 atoms, in Å:
C 0.819 -0.174 -1.101
N -0.107 0.379 -0.115
C -1.419 -0.440 -0.149
O -1.845 -0.742 -1.348
H 0.444 -0.096 -2.125
H 1.787 0.312 -1.029
H 0.913 -1.237 -0.908
H -0.391 1.301 -0.454
H -1.169 -1.300 0.532
H -2.118 0.201 0.437
H 0.635 0.733 1.371
H 1.430 0.122 2.595
O 1.021 0.942 2.294

Computed properties:
Frontier orbital gap in eV: 7.1
Net charge: -1
M in g/mol: 78.1

***

*x*
A cluster of 2 separate species, C2H8NO2 in total. Source: the OMol25 dataset; level of theory: ωB97M-V/def2-TZVPD.

Positions of all 13 atoms, in Å: